Last Thursday lunchtime around 500 or more Libyans came to demonstrate opposite Downing St, not like most demos to condemn the Con Dem alliance, but to thank them for their support of the ‘no-fly’ policy. They appreciate David Cameron’s efforts to persuade the UN to adopt the resolution that enabled French, British and US forces to take action against Gadaffi’s planes, tanks and heavy weapons.
D700, 16-35mm at 32mm, ISO 400, 1/500 f9, at 2 foot
## Attached: molecular data
Below is a molecular structure, C30H21AlCl4N4O4S, with properties calculated with the ωB97M-V functional and the def2-TZVPD basis.

Computed properties:
Net charge: 0
ΔE to the lowest compared entry with this formula, charge and spin: 49.0 kJ/mol
Highest occupied orbital energy: -7.31 eV
M: 702.4 u
Gap between HOMO and LUMO: 7.5 eV

Geometry as XYZ:
```
65
Properties=species:S:1:pos:R:3:forces:R:3
Al -0.232 0.011 0.298 -0.719 0.292 0.356
O 1.353 0.160 1.050 0.279 -0.164 -0.078
C 1.881 0.660 2.152 -0.212 0.059 -0.117
C 3.210 0.356 2.470 0.135 -0.054 0.054
C 3.778 0.822 3.636 -0.067 0.001 -0.037
C 3.040 1.609 4.522 0.061 0.017 0.015
C 1.743 1.942 4.202 -0.045 0.028 0.000
C 1.151 1.495 3.016 -0.034 -0.066 0.028
C -0.202 1.881 2.646 0.029 0.153 -0.080
N -0.830 1.575 1.517 0.040 -0.071 0.101
C -2.079 2.166 1.574 0.083 -0.111 -0.062
C -2.200 2.849 2.734 0.045 0.042 0.002
N -1.005 2.667 3.398 -0.104 -0.034 0.035
H 3.768 -0.261 1.776 -0.030 0.004 0.019
H 4.804 0.566 3.868 0.004 0.004 0.001
H 3.484 1.963 5.442 -0.017 -0.005 -0.010
H 1.178 2.560 4.892 0.037 0.015 -0.021
H -2.801 2.027 0.788 0.022 0.003 0.033
H -3.003 3.438 3.141 0.025 -0.049 0.005
H -0.786 3.017 4.314 0.039 0.016 -0.016
Cl -2.084 -5.984 -1.777 0.006 0.021 0.007
C -1.946 -4.508 -0.891 -0.011 0.012 0.041
C -2.781 -4.258 0.189 0.060 0.022 -0.013
Cl -3.956 -5.426 0.671 -0.005 0.013 -0.008
C -2.671 -3.050 0.896 -0.071 -0.042 -0.022
Cl -3.713 -2.686 2.224 0.021 -0.007 -0.009
C -1.727 -2.113 0.526 0.100 0.082 -0.010
O -1.549 -0.930 1.109 -0.074 -0.149 -0.074
C -0.859 -2.378 -0.561 0.040 0.109 0.048
O 0.017 -1.411 -0.827 0.127 -0.081 -0.159
C -0.983 -3.559 -1.267 -0.085 -0.060 -0.021
Cl 0.049 -3.827 -2.631 0.038 -0.013 0.050
O 2.050 2.411 -1.473 -0.008 -0.080 0.044
S 1.907 0.927 -1.615 0.395 0.220 -0.324
C 3.513 0.210 -1.271 -0.047 -0.094 -0.012
C 4.614 1.039 -1.180 0.044 0.048 0.012
C 5.862 0.471 -0.958 0.016 -0.034 0.031
C 5.989 -0.907 -0.831 -0.062 0.057 -0.027
C 4.864 -1.723 -0.897 0.056 0.022 0.014
C 3.613 -1.165 -1.104 -0.092 -0.007 0.027
C 1.892 0.603 -3.384 -0.085 -0.101 0.054
C 1.539 -0.665 -3.828 -0.052 -0.011 0.032
C 1.515 -0.916 -5.192 0.021 0.062 -0.029
C 1.823 0.099 -6.092 0.019 -0.009 0.033
C 2.156 1.366 -5.631 -0.005 0.019 0.033
C 2.189 1.626 -4.266 0.028 0.057 -0.037
H 4.484 2.111 -1.273 -0.009 -0.030 -0.026
H 6.736 1.106 -0.885 -0.018 -0.021 -0.007
H 6.967 -1.345 -0.677 -0.013 -0.002 0.028
H 4.963 -2.795 -0.782 -0.016 0.025 0.017
H 2.720 -1.782 -1.116 0.021 0.029 -0.040
H 1.267 -1.436 -3.117 0.006 0.028 -0.007
H 1.253 -1.903 -5.552 -0.024 0.026 0.016
H 1.799 -0.098 -7.157 0.004 -0.004 0.021
H 2.398 2.156 -6.331 -0.021 -0.033 -0.004
H 2.441 2.606 -3.879 0.001 -0.029 0.008
N -1.595 2.660 -2.612 -0.064 -0.024 -0.052
C -2.267 1.529 -3.034 0.046 0.081 0.026
C -1.953 0.562 -2.140 0.090 -0.053 0.151
N -1.108 1.095 -1.183 0.091 -0.069 0.004
C -0.912 2.360 -1.499 -0.102 -0.088 0.021
H -1.590 3.553 -3.074 0.025 0.006 0.010
H -2.891 1.521 -3.909 0.024 0.006 0.010
The people of Benghazi feel that it was only this intervention that saved many of them from death, with Gadaffi’s threat to take action against them street by street and alley by alley being very close to being put into effect as his tanks were poised on the outskirts of their city.
********
{
  "formula": "C3H10NOS",
  "method": "wB97M-V/def2-TZVPD",
  "e_lumo_ev": -3.49,
  "e_homo_ev": -12.8,
  "charge": 1,
  "spin_multiplicity": 1,
  "relative_energy_kcal_mol": 34.8,
  "symbols": ["S", "O", "N", "C", "C", "C", "H", "H", "H", "H", "H", "H", "H", "H", "H", "H"],
  "xyz": [[-1.1141, 1.6805, -0.1930], [0.7790, -1.1567, -0.6763], [2.2339, 1.0320, -0.0716], [-0.6626, -0.9808, -0.9379], [-1.1941, -0.1085, 0.1814], [-1.6367, -0.5527, 1.3233], [-0.7673, -0.3595, -1.8352], [-1.1478, -1.9385, -0.8623], [1.6472, 0.0495, -0.2555], [-2.1053, 0.1521, 1.9312], [2.6911, 1.2012, -1.0219], [-2.1806, 1.9035, 0.4866], [1.7368, 1.9444, 0.1391], [0.7457, -2.1161, -0.3455], [2.9308, 0.8153, 0.5677], [-1.9561, -1.5657, 1.5698]],
  "atomic_forces_ev_per_a": [[1.09, -1.30, -0.61], [-0.76, -2.75, 0.22], [-1.71, 0.13, -3.91], [0.46, 2.23, 1.17], [0.88, 0.58, -1.56], [-1.53, -1.00, 0.16], [-0.07, -1.08, -0.29], [-0.18, -0.30, -0.71], [0.04, 1.74, 0.54], [-0.25, 1.08, 1.53], [-0.45, -0.25, 1.56], [-1.27, 0.72, 0.88], [0.19, -1.72, 0.12], [1.10, 2.14, -0.46], [1.74, -0.13, 1.71], [0.71, -0.08, -0.36]],
  "nbo_charge": [-0.04, -0.76, -0.93, -0.12, -0.14, -0.38, 0.22, 0.22, 0.49, 0.21, 0.44, 0.15, 0.47, 0.52, 0.43, 0.23]
}

=====

Record 1
C9H14O2 | ωB97M-V with the def2-TZVPD basis set

Geometry as ORCA input:
```
! wB97M-V def2-TZVPD RIJCOSX def2/J DEFGRID3
* xyz 0 1
C -1.7110 0.2573 -0.0315
C 2.6133 -1.1329 0.2060
C 1.5340 -0.8225 -0.4445
C 0.2821 -0.3692 0.1881
C -0.3757 1.0087 -0.1747
C -1.0813 -1.0612 -0.2150
C -0.3307 1.2305 -1.7222
C -0.1891 2.2285 0.5809
C -1.5809 -2.1163 0.9037
O -2.8081 0.7168 0.1100
O -1.0918 -1.5465 -1.5004
H 3.4861 -1.2774 -0.3827
H 2.7743 -0.7767 1.2439
H 1.5982 -0.7836 -1.5252
H 0.4689 -0.4863 1.2396
H 0.6123 0.8451 -2.1333
H -0.4922 2.3422 -1.9674
H -1.2355 0.7215 -2.3111
H 0.3931 2.8624 0.0404
H 0.3429 2.0566 1.5462
H -1.2577 2.5896 0.6343
H -1.8963 -3.0013 0.2739
H -2.2556 -1.4984 1.5151
H -0.7250 -2.4302 1.5793
H -2.0129 -1.7272 -1.6350
*
```

## Properties
- SMILES = C=C[C@H]1C(C)(C)C(=O)[C@@]1(C)O
- relative energy (zero: lowest compared OMol25 entry of this formula, charge and spin) (kcal/mol) = 87.1

---

Record 2
C9H14O6 | ωB97M-V with the def2-TZVPD basis set

Geometry as ORCA input:
```
! wB97M-V def2-TZVPD RIJCOSX def2/J DEFGRID3
* xyz 0 1
C -4.0030 0.0130 5.9089
C -3.2399 -0.5559 4.7158
C -1.7509 -0.8094 5.0209
C -0.6772 -0.7479 3.9493
C 0.5516 -0.1718 4.5773
C 1.0960 -1.2693 5.6801
C -0.0826 -1.8426 6.4719
C -1.3826 -1.6367 6.1914
C 2.0880 -0.5599 6.5649
O 1.6436 -2.4045 4.9642
O 2.5337 -1.8804 4.0858
O 0.1626 1.0820 5.0793
O -1.4051 0.8862 5.3031
H -5.0740 0.1125 5.6788
H -3.9360 -0.6425 6.7833
H -3.6891 1.0182 6.2165
H -3.7742 -1.4265 4.3240
H -3.2701 0.1895 3.9151
H -0.4735 -1.7546 3.5069
H -1.0446 0.0011 3.2582
H 1.4377 -0.1096 3.8574
H 0.2192 -2.5486 7.2413
H -2.1651 -1.8861 6.9220
H 1.6198 0.2976 7.0440
H 2.4594 -1.2512 7.3161
H 2.9141 -0.2098 5.9016
H -2.2564 1.3417 5.5449
O -0.1491 4.5696 6.8013
********
Libyans supporting the revolution and the Interim Transitional National Council running Benghazi and other areas that have broken away from Gadaffi’s rule have little time for the opposition of the British left, although they seemed also clear that they wanted to set very definite limits on the foreign intervention, and that eventually they will have to liberate their country themselves.
So although they very much welcomed the efforts the British government has made so far, they have other demands, particularly for recognition of the ITNC as the legitimate government of Libya, but also to be able to import the arms and ammunition that they need to carry on the fight.
{
  "formula": "C16H25ClORe",
  "method": "ωB97M-V/def2-TZVPD",
  "elements": ["Re", "Cl", "O", "C", "C", "C", "C", "C", "C", "C", "C", "C", "C", "C", "C", "C", "C", "C", "C", "H", "H", "H", "H", "H", "H", "H", "H", "H", "H", "H", "H", "H", "H", "H", "H", "H", "H", "H", "H", "H", "H", "H", "H", "H"],
  "coordinates": [[1.525233, 0.208803, 0.381224], [-2.615789, 0.932718, -0.303732], [1.927743, -3.329828, -0.430364], [0.048497, 0.088645, 2.030074], [1.119177, 1.658642, -1.397804], [4.323140, -3.290447, -0.210479], [2.230193, -0.808539, 2.076950], [0.774439, 0.343972, -1.895160], [0.820043, -1.131003, 1.928116], [2.323573, 0.624832, 2.256335], [-4.067284, 3.117422, 0.079597], [-4.694387, 1.671894, -1.779174], [2.509904, 1.628734, -1.016835], [-5.139955, 0.977915, 0.591500], [3.058765, -4.096217, -0.044156], [0.984972, 1.183819, 2.180157], [-4.166285, 1.667514, -0.353436], [3.018661, 0.282323, -1.260329], [1.926335, -0.507848, -1.784349], [-6.112924, 1.478146, 0.474643], [0.468223, 2.530327, -1.377380], [-4.034103, 2.284550, -2.403307], [-1.046740, 0.157070, 2.038374], [-3.401383, 3.663295, -0.592387], [3.141273, 2.437157, -0.686477], [0.712455, 2.231804, 2.231943], [3.066925, -1.496731, 2.040770], [3.113645, -4.993709, -0.672961], [-0.211223, 0.051973, -2.280468], [-5.075095, 3.549250, 0.010074], [0.429911, -2.118840, 1.716948], [3.246344, 1.149902, 2.450208], [2.945979, -4.384665, 1.005254], [4.030296, -0.056427, -1.109112], [-3.727636, 3.181040, 1.115135], [5.178791, -3.926926, 0.037113], [1.990462, -1.565946, -1.983969], [-4.806878, 1.117100, 1.626730], [1.124175, -3.859408, -0.318879], [4.447043, -2.944546, -1.241542], [-4.785744, 0.650605, -2.151610], [-5.687071, 2.140565, -1.757147], [-5.248319, -0.075523, 0.324493], [4.334619, -2.423415, 0.455418]],
  "atomic_forces_ev_per_a": [[-1.35, -0.46, -6.86], [2.37, -1.17, 0.15], [-0.80, 0.81, -0.03], [0.54, -0.32, 1.16], [0.70, -0.56, -0.32], [0.02, -0.02, -0.16], [-0.63, 0.13, 1.84], [0.25, 0.26, 0.47], [0.09, 0.25, 1.26], [-0.03, -0.32, 1.92], [0.08, 0.20, 0.09], [-0.02, -0.13, 0.04], [0.29, -0.71, -0.85], [0.01, -0.06, -0.13], [0.39, -0.61, 0.13], [-0.29, -0.36, 1.64], [-2.76, 1.65, -0.06], [-0.97, 0.68, -0.54], [0.36, 1.05, 0.16], [0.26, -0.26, 0.11], [0.10, -0.28, 0.12], [-0.18, -0.30, -0.11], [0.53, 0.08, -0.47], [-0.02, 0.12, 0.20], [-0.17, 0.23, 0.06], [0.12, -0.11, 0.10], [-0.16, 0.02, -0.01], [0.00, 0.07, 0.24], [0.45, 0.12, 0.36], [0.35, 0.02, 0.08], [0.02, 0.10, 0.05], [-0.02, 0.20, -0.12], [0.07, -0.22, -0.07], [0.11, -0.01, 0.04], [0.06, 0.20, -0.07], [-0.09, 0.21, -0.02], [-0.13, -0.11, -0.09], [-0.14, -0.30, -0.15], [0.32, -0.02, -0.15], [-0.01, -0.08, 0.08], [0.01, 0.14, -0.23], [0.24, -0.18, -0.16], [-0.05, 0.04, 0.27], [0.08, 0.02, 0.02]],
  "total_charge": 2,
  "molar_mass_g_mol": 455.03,
  "lumo_energy_ev": [-6.946, -10.747],
  "multiplicity": 4,
  "total_energy_ha": -1237.66210,
  "max_force_ev_per_a": 7.01
}

=====
Perhaps the left instead of simply calling for an end to the UN resolution backed military intervention should now be pressing hard for the kind of policies that would enable Libyans to stand up against Gadaffi and defeat him. Without the bombing of the last week it seems almost certain the Libyan revolution would have been crushed by now, at least for the foreseeable future.
A more or less impossible exposure problem almost corrected in Lightroom
It was a lively event, and one where people were very keen for me to take pictures, although just a little daunting to look at the packed mass of men noisily protesting. But once I had jumped in, everything was fine. Getting under the giant flag did give some exposure problems, and most of the pictures I took using flash came out over-exposed (these systems either seem to work perfectly or really mess up, with little in between, and often it is very hard to determine why things go wrong when they do.) In the end all of those I’ve used were taken without flash. Bright sunlight in the background and the shadow under the flag were rather extreme and needed quite a lot of persuading to produce the picture shown. The background was more than 3 stops overexposed, the foreground probably a stop or two under. The result above was a quick fix, and could be improved. Theoretically digital may have less latitude than negative film, but usually post-processing can usually more than compensate and I’m fairly certain I wouldn’t have managed this on film.
It was all very much heat of the moment – I was only there around 6 minutes in all, I had hoped to go back and do some more but they packed up and left before I could do so.